The Constitution and Bylaws
Laurel Park Improvement Association, Inc.
Warren, Rhode Island

Note to members: The bylaws are currently being reviewed and will be updated later this year.

The Constitution and Bylaws of the Laurel Park Improvement Association, Inc. as revised and approved by the Executive Committee shall be adopted, and shall be the Constitution and Laws under which this association shall be governed, and shall take effect on April 24, 2016.

2016 Executive Committee:
President – Lori Vales
Vice-President – vacant
Secretary – Joan DeSousa
Treasurer- Doug White
Property Chairman –Phil Keefe

2016 Bylaws Committee:
Lori Vales
Dave Vales
Joan DeSousa
Dinarte DeSousa

Order of Business
1. Roll call of Officers
2. Reading of minutes of previous session
3. Treasurer's report
4. Bills and Communications
5. Voting in of new members
6. Report of Committees
7. Unfinished business
8. New business
9. Good and welfare
10. Adjournment

The order of business may be suspended at any meeting by a two-thirds vote of members present.

Article I - OBJECT

Section 1
The Laurel Park Improvement Association was incorporated on June 8, 1925. Its purpose and object is to promote the healthy growth and development of Laurel Park and to encourage a cooperative and wholesome social program for the residents of this community. Situated on the shores of the Kickemuit River in the Town of Warren, it is one of the most beautiful spots on the Atlantic Seaboard, and the founders of this Association hope to preserve and improve its clean and natural beauty and charm through the sincere cooperation of its members and friends. The Laurel Park Improvement Association is truly a mutual organization, each member (not associate) in good standing holding an equal equity in the assets of this Association. To preserve and further develop the present assets is the purpose of its members. The Laurel Park Improvement Association does not discriminate against any person(s) based on race, national origin, color, gender, religion, and (disability).

Section 2 - Non-Profit Status
The Association is not organized for profit and no part of the net earnings of the Association shall inure to the benefit of, or be distributed to, any member.


Section 1-A
All Real Estate property owners within the Laurel Park Plats, bounded by the Kickemuit River on the East, the East side of Metacom Avenue on the West, Clark Road and Overhill Road on the south, Lincoln Avenue and Homestead Avenue (including side streets off Homestead Avenue) together with members of their household, are eligible for membership upon payment of their initial fees and receiving favorable ballot of the majority of the members present at a regular meeting of the Association.

Section 1-B
All members in good standing who were regular members of this Association under the boundaries governing regular membership and who now find themselves outside the membership area, may continue to hold their membership as associate members as long as their dues are not more than one year in arrears. Delinquent members at the Annual Meeting will be dropped from the rolls and will not be reinstated.

Section 2-A
Associate membership in the Association will be available to those residing, but not owning real estate property in the area covered by Section 1-A, this Article, and upon receiving favorable ballot of the majority of members present at a regular meeting and upon payment of the regular dues. Associate members in this category are dropped automatically after moving outside the boundaries covered under Article II, Section 1-A.

Section 2-B
All regular and associate members shall (be given access to) one copy of the Bylaws and rules and regulations. Newly elected members shall receive the same.

Section 3
Honorary Membership may be given to a qualified widow or widower of one who has worked long and unselfishly for the betterment of the Association and has received favorable ballot of the majority of members present at a regular meeting. Honorary Members owning real estate as in Section 1-A, Article II, have full voice and voting privileges at all meetings.

Section 4
There shall be but one (1) membership fee paid by each household and payment of such fee entitles said household to one year’s membership.

Section 5
Household shall be construed as meaning: all members residing together in one common residence. Two voting privileges shall be allowed per household.

Section 6
Associate members cannot hold office in the Association but are eligible to serve as members of committees by appointment of the Chairman. They shall be allowed voice but no vote at any meeting.

Section 7
Any adult person or persons residing in the limits of Section 1, Article II, cannot be a guest of another member (except during events that are advertised for anyone).

Article III

Section 1
The dues of the members shall be determined by the vote of the membership at the Annual September meeting and shall be due and payable on or before April lst of the ensuing year.

Section 2
Members in arrears for non-payment of dues at the September meeting shall be declared lapsed and shall be denied voice and vote and be dropped from the rolls of the Association.

Section 3
Members so dropped may apply for reinstatement by paying the current dues upon ballot of the majority of the members present at a regular meeting of the Association.

Section 1
The officers of the Association shall consist of five members (in good standing) and shall be called the Executive Committee. They shall be nominated and elected at the Annual Meeting by the membership. Each officer shall be nominated and elected for each respective office.

Section 2
Members so elected may serve as many as six (6) consecutive terms of office as they shall be duly elected to as per Section 1, Article IV.

Section 3
The Executive Committee shall have control of all phases of the Association affairs not otherwise provided for. In cases of emergency, at any regular or special meeting, they shall be empowered to conduct the business at hand by a majority vote of those present.

Section 4
The Executive Committee may authorize necessary expenditures up to the amount of $300.00 (three hundred) in the conduct of Association business.

Article IV

Section 1
The officers of the Association shall consist of five members (in good standing) and shall be called the Executive Committee. They shall be nominated and elected at the Annual Meeting by the membership. Each officer shall be nominated and elected for each respective office.

Section 2
Members so elected may serve as many as six (6) consecutive terms of office as they shall be duly elected to as per Section 1, Article IV.

Section 3
The Executive Committee shall have control of all phases of the Association affairs not otherwise provided for. In cases of emergency, at any regular or special meeting, they shall be empowered to conduct the business at hand by a majority vote of those present.

These materials data were left in the entry by mistake:
Below is an optimized crystal structure of PaBTe, with properties calculated at the PBE level.

Cell and atoms, written as POSCAR:
```
PaBTe
1.0
0.000 3.352 3.352
3.352 0.000 3.352
3.352 3.352 0.000
B Pa Te
1 1 1
Cartesian
1.676 1.676 1.676
0.000 0.000 0.000
5.029 5.029 5.029
```

Total magnetization, μB per atom: 0.056
Total energy, eV/cell: -17.45

----------

VASP calculation (PBE) on an optimized crystal structure of Nd2CdSi.

Lattice parameters (Å, degrees): 4.3675 4.3675 22.3759 90.00 90.00 120.00
Space group R-3m (No. 166, hexagonal axes)
Unique sites:
Nd: 0.0000 0.0000 0.2350 (multiplicity 6)
Cd: 0.0000 0.0000 0.0000 (multiplicity 3)
Si: 0.0000 0.0000 0.5000 (multiplicity 3)

Properties
Formation energy (no corrections) = -135 kJ/mol of formula units
DOS(E_F) = 4.84 states/eV/f.u.

----------

Density functional theory data (PBE-GGA) for crystalline LaH6Pt2Rh at its relaxed geometry.

```
10
Lattice="4.8591 0.0000 0.0000 -2.4187 4.2416 0.0000 -0.0181 -2.7934 4.9117" Properties=species:S:1:pos:R:3 pbc="T T T"
La 0.0000 0.0000 0.0000
H -1.0596 2.2214 1.1367
H 1.3590 -0.7738 3.7744
H -0.0041 1.6176 3.7743
H 2.4264 -0.1695 1.1374
H 1.0633 2.2219 1.1372
H 3.4820 -0.7733 3.7749
Pt -0.0086 0.0288 3.1111
Pt 2.4310 1.4193 1.8006
Rh 2.4205 -1.3967 2.4558

Section 4
The Executive Committee may authorize necessary expenditures up to the amount of $300.00 (three hundred) in the conduct of Association business.

Article V

Section 1
The duties of the officers shall be designated by parliamentary procedure as described in the newly revised, Robert’s Rules of Order. The Executive Committee shall have a copy of said rules plus a copy of the Bylaws at every meeting.
Section 2-A
The Executive Committee shall serve as a Grievance Committee.

Section 2-B
The Executive Committee shall meet with all parties concerned in the grievance and lacking a solution by the Executive Committee the problem shall be presented to the membership for action.

Article VI

Section 1
The Executive Committee shall appoint all Committees.

Article VII

Section 1
Meetings of the Association shall be held at intervals by direction of the Executive Committee and members shall be notified at least five days in advance of such meetings.

Section 2-A
The Annual Meeting shall be held on the last Sunday of September. No annual meeting shall begin after 9:00 PM.

Section 2-B
The first meeting of the Season shall be the last Sunday in April.

Section 3
The Executive Committee shall meet at such times, as a majority of this Committee shall decree. All Executive Committee members shall be notified of all executive meetings.

Article VIII

Section 1
It shall be the duty of the Executive Committee to present a set of rules and regulations for the beach, parking lot and playground, to be voted on by the membership at the first meeting of the season.

Section 2
These rules and regulations are binding on all members and their guests.

Section 3
It shall be the responsibility of the Executive Committee and all members to enforce these rules and regulations.

Section 4
Persistent and flagrant violations by members of these rules and regulations can result in loss of membership.

Section 5
The current rules and regulations as approved by the membership at the First Meeting of the Season shall be considered part of the By-Laws for the ensuing year.

Section 6
In response to an urgent situation that impacts the well-being of its members or the property owned by LPIA, a temporary rule may be instated by the executive committee until the next general meeting where it can be voted on by the membership present to uphold or overturn.

Article IX

Section 1
These By-laws may be amended by a two-thirds vote of the members present at any regular meeting providing notice of such proposed amendments was given at the preceding regular meeting, and that written notice of such proposed amendment was sent (by electronic, or paper) to all members at least ten (10) days before the meeting at which action would be taken on the amendment.

Article X

Section 1
In the event of a dissolution only, or sale of Association property, whether by voluntary action of members assembled in meeting, or for any other reason, the following procedure shall govern this action:
A. The plan must be submitted to the regular members by mail.
B. Final action can only be taken by vote at a meeting following that on which the plan was submitted to the Association and all members must be notified by written notice at least ten (10) days before the time the meeting is called stating that action will be taken.
C. In the event of the sale of a portion of the assets, monies derived will be returned to the coffers.

Section 2
In the event of complete dissolution of all the assets, the assets will then be divided on the basis of one (1) equal share for each paid regular membership. Only members in good standing at time of liquidation shall participate in division of such assets. Notification of liquidation shall be given by mail and voting shall by done by ballots (2 votes per household). These ballots must be received by mail or in person by the next scheduled meeting. The issue will be decided on by a two-thirds vote of the ballots received.

Article XI

Section 1
Any member in good financial standing may terminate their membership in the Association by written request, or verbally in open meetings. Such action however, does not entitle the member to share of the assets of this Association as per Article X, Section 2, hereof. This article specifically states that such a division shall only take place in the event of a liquidation of the Association.

The Laurel Park Improvement Association in General Meeting Assembled: RESOLVED: That the foregoing Code of By-Laws and Regulations as revised and approved shall be adopted and become the Constitution and Laws under which this Association shall be governed and shall take effect from this date April 24, 2016.